Input
<<<
[1]
{
  "formula": "C25H40F3HfO15",
  "method": "the ωB97M-V functional and the def2-TZVPD basis",
  "species": ["Hf", "O", "C", "O", "O", "H", "C", "O", "C", "C", "O", "C", "H", "H", "H", "H", "H", "H", "H", "H", "H", "H", "O", "C", "O", "C", "C", "C", "H", "H", "H", "H", "H", "H", "O", "C", "O", "C", "C", "C", "H", "H", "H", "H", "H", "H", "O", "C", "O", "C", "C", "C", "H", "H", "H", "H", "H", "H", "O", "C", "O", "C", "C", "C", "H", "H", "H", "H", "H", "H", "C", "C", "O", "C", "O", "C", "F", "F", "F", "H", "H", "H", "H", "H"],
  "coordinates": [[2.0232, -3.0849, -0.7537], [0.2237, 0.6459, -0.3449], [0.7209, -0.5333, -0.4575], [0.7434, -1.1710, -1.5681], [1.3630, -1.1389, 0.4253], [-0.3402, 0.8261, -1.1423], [-1.3278, -1.3617, -4.0280], [-2.2510, -1.5353, -2.9557], [-3.2500, -0.4969, -2.9252], [-2.7042, 0.9264, -3.1562], [-1.8282, 1.3067, -2.0957], [-1.4112, 2.6570, -2.1932], [-1.8664, -1.0941, -4.9397], [-0.9038, -2.3564, -4.1735], [-0.5781, -0.5962, -3.8211], [-3.6425, -0.5150, -1.9092], [-4.0357, -0.6716, -3.6617], [-3.5620, 1.5967, -3.2668], [-2.1673, 1.1355, -4.0870], [-2.1356, 3.4407, -2.4404], [-0.6819, 2.7729, -3.0044], [-0.9680, 3.1068, -1.3033], [3.8183, -2.3843, 0.6838], [4.4177, -1.7242, 1.5585], [4.0381, -0.5389, 1.9031], [4.7630, -0.1414, 3.1009], [5.4776, -1.3869, 3.6469], [5.6499, -2.1467, 2.3247], [4.0849, 0.2204, 3.8694], [5.4974, 0.6164, 2.8360], [4.9050, -1.8773, 4.4327], [6.3806, -1.0506, 4.1537], [5.6539, -3.2273, 2.4628], [6.5147, -1.8374, 1.7331], [-0.3411, -3.4731, -0.2278], [-1.4070, -4.1215, -0.3006], [-2.2208, -4.1804, 0.7010], [-3.4815, -4.7044, 0.3143], [-3.1545, -5.6274, -0.8369], [-2.0130, -4.8750, -1.4986], [-4.1777, -3.9206, 0.0057], [-3.9050, -5.2479, 1.1570], [-4.0767, -5.7325, -1.4033], [-2.7328, -6.5725, -0.4947], [-2.3909, -4.1376, -2.2141], [-1.2841, -5.5709, -1.9122], [-4.9707, -1.3536, 0.3700], [-3.9932, -1.1951, 1.0574], [-4.0790, -1.0122, 2.3515], [-2.8164, -0.6652, 2.9624], [-1.7434, -0.9984, 1.9120], [-2.5498, -0.9112, 0.5980], [-2.7476, -1.2420, 3.8794], [-2.8261, 0.4066, 3.1616], [-1.4043, -2.0156, 2.1200], [-0.8648, -0.3556, 1.9324], [-2.0843, -1.5224, -0.1689], [-2.6945, 0.1386, 0.3239], [3.4591, 3.1308, 0.6596], [3.8929, 2.7629, -0.3987], [5.0392, 3.2454, -0.8840], [5.2440, 2.8520, -2.2626], [3.9732, 2.0705, -2.6565], [3.2655, 1.7696, -1.3439], [6.1322, 2.2267, -2.2113], [5.3363, 3.6827, -2.9571], [4.3731, 1.1749, -3.1385], [3.3138, 2.5410, -3.3823], [3.6910, 0.8514, -0.9066], [2.1938, 1.6348, -1.3775], [0.3627, 2.5199, 2.6458], [-0.4907, 2.8797, 1.4293], [-1.1764, 4.1300, 1.5139], [-2.4281, 4.1308, 1.9918], [-2.9681, 3.1961, 2.4970], [-3.0334, 5.5825, 1.8946], [-3.9831, 5.6003, 2.8326], [-2.1274, 6.5029, 2.1370], [-3.5726, 5.7828, 0.6859], [0.8992, 1.6301, 2.3058], [-0.2034, 2.2498, 3.5371], [1.0274, 3.3455, 2.8897], [-1.1140, 2.0199, 1.1829], [0.2322, 2.9955, 0.6232]],
>>>

Request
What is needed: print the lines earlier on from the one with "[1]" to the one with "the def2-TZVPD" without additions.

Response
[1]
{
  "formula": "C25H40F3HfO15",
  "method": "the ωB97M-V functional and the def2-TZVPD basis",